Brief:
Give back the lines below without altering anything, please.

Input:
********
[1]
Starting from DFT lattice parameters and positions (GGA-PBE), the XRD peak list of TlGaHgTe was calculated for CuKα.

Peak list (10 most intense, 2θ from 10° to 90°, in order of falling intensity)
d/Å, two_theta, I_rel
2.775, 32.3, 100
1.602, 57.5, 39
1.962, 46.3, 19
1.241, 76.8, 17
4.531, 19.6, 13
1.387, 67.5, 12
2.366, 38.0, 8
1.133, 85.8, 4
1.800, 50.7, 4
1.510, 61.4, 3

Atomic structure:
```
TlGaHgTe
1.0
7.848 0.000 0.000
0.000 7.848 0.000
0.000 0.000 7.848
Tl Ga Hg Te
4 4 4 4
direct
0.000 0.000 0.000
0.000 0.500 0.500
0.500 0.000 0.500
0.500 0.500 0.000
0.000 0.000 0.500
0.000 0.500 0.000
0.500 0.000 0.000
0.500 0.500 0.500
0.250 0.250 0.250
0.250 0.750 0.750
0.750 0.250 0.750
0.750 0.750 0.250
0.250 0.250 0.750
0.250 0.750 0.250
0.750 0.250 0.250
0.750 0.750 0.750
```

---

[2]
Starting from DFT lattice parameters and positions (GGA-PBE), the XRD peak list of Ti5Ga3Hg was calculated for CuKα.

Peak list (10 most intense, 2θ from 10° to 90°, in order of falling intensity)
d/Å, two_theta, I_rel
2.261, 39.9, 100
2.301, 39.1, 96
6.904, 12.8, 62
1.613, 57.1, 32
1.321, 71.4, 32
1.179, 81.7, 25
3.452, 25.8, 23
2.551, 35.2, 17
2.610, 34.4, 16
1.329, 70.9, 14

Atomic structure:
```
Ti5Ga3Hg
1.0
7.973 0.000 0.000
-3.986 6.904 0.000
0.000 0.000 5.491
Ti Ga Hg
10 6 2
direct
0.000 0.320 0.250
0.000 0.680 0.750
0.320 0.000 0.250
0.320 0.320 0.750
0.333 0.667 0.000
0.333 0.667 0.500
0.667 0.333 0.000
0.667 0.333 0.500
0.680 0.000 0.750
0.680 0.680 0.250
0.000 0.358 0.750
0.000 0.642 0.250
0.358 0.000 0.750
0.358 0.358 0.250
0.642 0.000 0.250
0.642 0.642 0.750
0.000 0.000 0.000
0.000 0.000 0.500
```

---

[3]
Starting from DFT lattice parameters and positions (GGA-PBE), the XRD peak list of Ti7Ga2Hg2 was calculated for CuKα.

Peak list (10 most intense, 2θ from 10° to 90°, in order of falling intensity)
d/Å, two_theta, I_rel
2.195, 41.1, 100
2.243, 40.2, 75
4.264, 20.8, 66
3.048, 29.3, 62
2.345, 38.4, 43
2.394, 37.6, 34
2.618, 34.3, 32
2.775, 32.3, 31
1.915, 47.5, 26
1.340, 70.2, 19

Atomic structure:
```
Ti7Ga2Hg2
1.0
-2.394 4.358 4.690
2.394 -4.358 4.690
2.394 4.358 -4.690
Ti Ga Hg
7 2 2
direct
0.000 0.000 0.000
0.042 0.218 0.824
0.394 0.218 0.176
0.500 0.254 0.754
0.500 0.746 0.246
0.606 0.782 0.824
0.958 0.782 0.176
0.233 0.733 0.500
0.767 0.267 0.500
0.202 0.500 0.702
0.798 0.500 0.298
```

----------

1.
Starting from the GGA-PBE geometry in OQMD, the powder XRD pattern of Cs2ScPdCl6 was calculated for Cu Kα X-rays.
Lines closer than 0.1° are merged.

Main lines, sorted by position (5° ≤ 2θ ≤ 70°):
d/Å	intensity	(hkl)
3.668	100	2 2 0
3.128	5	3 1 1
2.995	36	2 2 2
2.593	67	4 0 0
2.118	44	4 2 2
1.834	45	4 4 0
1.640	20	6 2 0
1.564	13	6 2 2
1.497	15	4 4 4
1.386	23	6 4 2

```
data_Cs2ScPdCl6
_symmetry_space_group_name_H-M 'F m -3 m'
_symmetry_Int_Tables_number 225
_symmetry_space_group_name_Hall '-F 4 2 3'
_cell_length_a 10.374
_cell_length_b 10.374
_cell_length_c 10.374
_cell_angle_alpha 90.00
_cell_angle_beta 90.00
_cell_angle_gamma 90.00
loop_
_atom_site_label
_atom_site_type_symbol
_atom_site_fract_x
_atom_site_fract_y
_atom_site_fract_z
Cs1 Cs 0.250 0.250 0.250
Sc1 Sc 0.000 0.000 0.000
Pd1 Pd 0.000 0.000 0.500
Cl1 Cl 0.000 0.000 0.242
```

---

2.
Starting from the GGA-PBE geometry in OQMD, the powder XRD pattern of Cs3PmCl6 was calculated for Cu Kα X-rays.
Lines closer than 0.1° are merged.

Main lines, sorted by position (5° ≤ 2θ ≤ 70°):
d/Å	intensity	(hkl)
4.249	95	1 1 1
4.191	33	2 0 -2
4.106	42	0 2 0
4.053	95	3 1 -1
2.933	100	2 2 -2
2.471	26	1 1 -3
2.387	33	4 2 0
2.358	57	5 1 -3
1.882	24	1 3 -3
1.829	27	5 3 -3

```
data_Cs3PmCl6
_symmetry_space_group_name_H-M 'C 1 2/m 1'
_symmetry_Int_Tables_number 12
_symmetry_space_group_name_Hall '-C 2y'
_cell_length_a 13.980
_cell_length_b 8.213
_cell_length_c 8.401
_cell_angle_alpha 90.00
_cell_angle_beta 122.96
_cell_angle_gamma 90.00
loop_
_atom_site_label
_atom_site_type_symbol
_atom_site_fract_x
_atom_site_fract_y
_atom_site_fract_z
Cs1 Cs 0.000 0.000 0.000
********

Outcome:
[1]
Starting from DFT lattice parameters and positions (GGA-PBE), the XRD peak list of TlGaHgTe was calculated for CuKα.

Peak list (10 most intense, 2θ from 10° to 90°, in order of falling intensity)
d/Å, two_theta, I_rel
2.775, 32.3, 100
1.602, 57.5, 39
1.962, 46.3, 19
1.241, 76.8, 17
4.531, 19.6, 13
1.387, 67.5, 12
2.366, 38.0, 8
1.133, 85.8, 4
1.800, 50.7, 4
1.510, 61.4, 3

Atomic structure:
```
TlGaHgTe
1.0
7.848 0.000 0.000
0.000 7.848 0.000
0.000 0.000 7.848
Tl Ga Hg Te
4 4 4 4
direct
0.000 0.000 0.000
0.000 0.500 0.500
0.500 0.000 0.500
0.500 0.500 0.000
0.000 0.000 0.500
0.000 0.500 0.000
0.500 0.000 0.000
0.500 0.500 0.500
0.250 0.250 0.250
0.250 0.750 0.750
0.750 0.250 0.750
0.750 0.750 0.250
0.250 0.250 0.750
0.250 0.750 0.250
0.750 0.250 0.250
0.750 0.750 0.750
```

---

[2]
Starting from DFT lattice parameters and positions (GGA-PBE), the XRD peak list of Ti5Ga3Hg was calculated for CuKα.

Peak list (10 most intense, 2θ from 10° to 90°, in order of falling intensity)
d/Å, two_theta, I_rel
2.261, 39.9, 100
2.301, 39.1, 96
6.904, 12.8, 62
1.613, 57.1, 32
1.321, 71.4, 32
1.179, 81.7, 25
3.452, 25.8, 23
2.551, 35.2, 17
2.610, 34.4, 16
1.329, 70.9, 14

Atomic structure:
```
Ti5Ga3Hg
1.0
7.973 0.000 0.000
-3.986 6.904 0.000
0.000 0.000 5.491
Ti Ga Hg
10 6 2
direct
0.000 0.320 0.250
0.000 0.680 0.750
0.320 0.000 0.250
0.320 0.320 0.750
0.333 0.667 0.000
0.333 0.667 0.500
0.667 0.333 0.000
0.667 0.333 0.500
0.680 0.000 0.750
0.680 0.680 0.250
0.000 0.358 0.750
0.000 0.642 0.250
0.358 0.000 0.750
0.358 0.358 0.250
0.642 0.000 0.250
0.642 0.642 0.750
0.000 0.000 0.000
0.000 0.000 0.500
```

---

[3]
Starting from DFT lattice parameters and positions (GGA-PBE), the XRD peak list of Ti7Ga2Hg2 was calculated for CuKα.

Peak list (10 most intense, 2θ from 10° to 90°, in order of falling intensity)
d/Å, two_theta, I_rel
2.195, 41.1, 100
2.243, 40.2, 75
4.264, 20.8, 66
3.048, 29.3, 62
2.345, 38.4, 43
2.394, 37.6, 34
2.618, 34.3, 32
2.775, 32.3, 31
1.915, 47.5, 26
1.340, 70.2, 19

Atomic structure:
```
Ti7Ga2Hg2
1.0
-2.394 4.358 4.690
2.394 -4.358 4.690
2.394 4.358 -4.690
Ti Ga Hg
7 2 2
direct
0.000 0.000 0.000
0.042 0.218 0.824
0.394 0.218 0.176
0.500 0.254 0.754
0.500 0.746 0.246
0.606 0.782 0.824
0.958 0.782 0.176
0.233 0.733 0.500
0.767 0.267 0.500
0.202 0.500 0.702
0.798 0.500 0.298
```

----------

1.
Starting from the GGA-PBE geometry in OQMD, the powder XRD pattern of Cs2ScPdCl6 was calculated for Cu Kα X-rays.
Lines closer than 0.1° are merged.

Main lines, sorted by position (5° ≤ 2θ ≤ 70°):
d/Å	intensity	(hkl)
3.668	100	2 2 0
3.128	5	3 1 1
2.995	36	2 2 2
2.593	67	4 0 0
2.118	44	4 2 2
1.834	45	4 4 0
1.640	20	6 2 0
1.564	13	6 2 2
1.497	15	4 4 4
1.386	23	6 4 2

```
data_Cs2ScPdCl6
_symmetry_space_group_name_H-M 'F m -3 m'
_symmetry_Int_Tables_number 225
_symmetry_space_group_name_Hall '-F 4 2 3'
_cell_length_a 10.374
_cell_length_b 10.374
_cell_length_c 10.374
_cell_angle_alpha 90.00
_cell_angle_beta 90.00
_cell_angle_gamma 90.00
loop_
_atom_site_label
_atom_site_type_symbol
_atom_site_fract_x
_atom_site_fract_y
_atom_site_fract_z
Cs1 Cs 0.250 0.250 0.250
Sc1 Sc 0.000 0.000 0.000
Pd1 Pd 0.000 0.000 0.500
Cl1 Cl 0.000 0.000 0.242
```

---

2.
Starting from the GGA-PBE geometry in OQMD, the powder XRD pattern of Cs3PmCl6 was calculated for Cu Kα X-rays.
Lines closer than 0.1° are merged.

Main lines, sorted by position (5° ≤ 2θ ≤ 70°):
d/Å	intensity	(hkl)
4.249	95	1 1 1
4.191	33	2 0 -2
4.106	42	0 2 0
4.053	95	3 1 -1
2.933	100	2 2 -2
2.471	26	1 1 -3
2.387	33	4 2 0
2.358	57	5 1 -3
1.882	24	1 3 -3
1.829	27	5 3 -3

```
data_Cs3PmCl6
_symmetry_space_group_name_H-M 'C 1 2/m 1'
_symmetry_Int_Tables_number 12
_symmetry_space_group_name_Hall '-C 2y'
_cell_length_a 13.980
_cell_length_b 8.213
_cell_length_c 8.401
_cell_angle_alpha 90.00
_cell_angle_beta 122.96
_cell_angle_gamma 90.00
loop_
_atom_site_label
_atom_site_type_symbol
_atom_site_fract_x
_atom_site_fract_y
_atom_site_fract_z
Cs1 Cs 0.000 0.000 0.000